Source.
# 1
Computed powder XRD pattern
Compound: Rb2TaCr2S6
Radiation: Cu Kα X-rays
Structure: a DFT-relaxed cell (GGA-PBE, Alexandria)
Neutral-atom scattering factors, no anomalous dispersion.

Crystal structure
Unit cell a=6.100 b=6.100 c=8.092 alpha=96.98 beta=96.98 gamma=120.20
Fractional positions:
Rb: 0.165 0.835 0.000
Rb: 0.835 0.165 0.000
Ta: 0.000 0.000 0.500
Cr: 0.333 0.667 0.500
Cr: 0.667 0.333 0.500
S: 0.058 0.398 0.674
S: 0.287 0.287 0.325
S: 0.398 0.058 0.674
S: 0.602 0.942 0.326
S: 0.713 0.713 0.675
S: 0.942 0.602 0.326

Largest 6 diffraction maxima, low angle first, 10 to 90 degrees two-theta:
| Position (°2θ) | d [Å] | I_rel |
| --- | --- | --- |
| 11.3 | 7.848 | 77.8 |
| 17.2 | 5.152 | 53.0 |
| 20.2 | 4.386 | 36.2 |
| 22.7 | 3.924 | 39.7 |
| 33.0 | 2.712 | 100.0 |
| 33.3 | 2.694 | 49.6 |

---

# 2
Computed powder XRD pattern
Compound: RbCr3Se6
Radiation: Cu Kα X-rays
Structure: a DFT-relaxed cell (GGA-PBE, Alexandria)
Neutral-atom scattering factors, no anomalous dispersion.

Crystal structure
Unit cell a=11.572 b=3.633 c=12.364 alpha=90.00 beta=110.99 gamma=90.00
Fractional positions:
Rb: 0.135 0.250 0.388
Rb: 0.865 0.750 0.612
Cr: 0.150 0.250 0.035
Cr: 0.282 0.750 0.768
Cr: 0.489 0.750 0.285
Cr: 0.511 0.250 0.715
Cr: 0.718 0.250 0.232
Cr: 0.850 0.750 0.965
Se: 0.057 0.750 0.124
Se: 0.137 0.250 0.675
Se: 0.230 0.750 0.950
Se: 0.334 0.250 0.232
Se: 0.370 0.750 0.604
Se: 0.440 0.250 0.870
Se: 0.560 0.750 0.130
Se: 0.630 0.250 0.396
Se: 0.666 0.750 0.768
Se: 0.770 0.250 0.050
Se: 0.863 0.750 0.325
Se: 0.943 0.250 0.876

Largest 6 diffraction maxima, low angle first, 10 to 90 degrees two-theta:
| Position (°2θ) | d [Å] | I_rel |
| --- | --- | --- |
| 31.2 | 2.869 | 32.9 |
| 32.2 | 2.784 | 100.0 |
| 33.1 | 2.709 | 34.8 |
| 33.9 | 2.643 | 47.9 |
| 50.2 | 1.816 | 33.0 |
| 53.9 | 1.700 | 38.4 |

---

# 3
Computed powder XRD pattern
Compound: RbCr4Se8
Radiation: Cu Kα X-rays
Structure: a DFT-relaxed cell (GGA-PBE, Alexandria)
Neutral-atom scattering factors, no anomalous dispersion.

Crystal structure
Unit cell a=9.628 b=9.628 c=9.628 alpha=42.95 beta=42.95 gamma=42.95
Fractional positions:
Rb: 0.000 0.000 0.000
Cr: 0.000 0.000 0.500
Cr: 0.000 0.500 0.000
Cr: 0.500 0.000 0.000
Cr: 0.500 0.500 0.500
Se: 0.223 0.223 0.223
Se: 0.224 0.722 0.722
Se: 0.278 0.278 0.776
Se: 0.278 0.776 0.278
Se: 0.722 0.224 0.722
Se: 0.722 0.722 0.224
Se: 0.776 0.278 0.278
Se: 0.777 0.777 0.777

Largest 6 diffraction maxima, low angle first, 10 to 90 degrees two-theta:
| Position (°2θ) | d [Å] | I_rel |
| --- | --- | --- |
| 10.1 | 8.725 | 100.0 |
| 32.4 | 2.766 | 59.7 |
| 34.0 | 2.637 | 10.3 |
| 38.1 | 2.365 | 31.5 |
| 48.5 | 1.877 | 15.6 |
| 51.9 | 1.762 | 20.9 |


Structure and calculated PXRD pattern of K3FeC6N6 (a crystal structure in the Materials Project, relaxed with PBE; λ = 1.5418 Å (Cu Kα)).
Kinematic intensities with the Lorentz-polarization factor, no thermal factor.

Structural model:
```
K3FeC6N6
1.0
7.1121 0.0000 0.0000
0.0000 10.5380 0.0000
-2.4899 0.0000 8.0568
K Fe C N
6 2 12 12
Direct
0.0000 0.0000 0.0000 K
0.0000 0.5000 0.5000 K
0.4987 0.2281 0.8753 K
0.4987 0.2719 0.3753 K
0.5013 0.7281 0.6247 K
0.5013 0.7719 0.1247 K
0.0000 0.0000 0.5000 Fe
0.0000 0.5000 0.0000 Fe
0.1190 0.1641 0.5284 C
0.1190 0.3359 0.0284 C
0.1825 0.5517 0.2055 C
0.1833 0.5546 0.8873 C
0.1833 0.9454 0.3873 C
0.1825 0.9483 0.7055 C
0.8175 0.0517 0.2945 C
0.8167 0.0546 0.6127 C
0.8167 0.4454 0.1127 C
0.8175 0.4483 0.7945 C
0.8810 0.6641 0.9716 C
0.8810 0.8359 0.4716 C
0.1976 0.2362 0.0479 N
0.1976 0.2638 0.5479 N
0.2931 0.5828 0.3335 N
0.2931 0.9172 0.8335 N
0.2939 0.5886 0.8161 N
0.2939 0.9114 0.3161 N
0.7061 0.0886 0.6839 N
0.7061 0.4114 0.1839 N
0.7069 0.0828 0.1665 N
0.7069 0.4172 0.6665 N
0.8024 0.7362 0.4521 N
0.8024 0.7638 0.9521 N
```

Principal peaks in the range 5° ≤ 2θ ≤ 70°, low angle first:
hkl 0 1 1, 13.8 deg, intensity 17
Wanted.
Now count the lines further up that contain the word "gamma" and give the number alone.
Outcome.
3